## Brief
Print everything further below exactly.
## Material
┌──
114
Properties=species:S:1:pos:R:3:forces:R:3:mulliken_charge:R:1 method="wB97M-V/def2-TZVPD" spin_multiplicity=2 mol_weight_g_mol=1244.78 gap_ev="5.48 / 3.90" total_charge=-2 homo_energy_ev="-2.29 / -2.29" e_above_lowest_ev=2.313
Cs 1.702261 0.585957 -1.257231 -0.62 0.84 -0.43 0.92
C -3.916874 -0.232111 4.652079 -1.04 -0.09 -0.03 -1.22
N -3.983970 -0.569170 3.226898 0.94 0.50 0.28 0.50
C -5.221059 -1.107580 2.683876 0.05 0.00 0.74 -0.91
C -2.890334 -0.405291 2.393933 0.79 -0.41 -1.64 0.55
N -2.732965 -1.082659 1.280692 0.50 0.84 1.01 -0.44
C -2.940012 -2.427876 1.122779 -0.56 -1.18 -0.14 -0.17
C -2.939762 -3.357715 2.211400 -0.27 1.06 -0.47 -0.41
C -3.047537 -4.713090 2.005619 0.09 -1.65 -0.60 -0.59
C -3.174334 -5.212964 0.678108 0.02 -0.49 1.01 -0.74
C -3.213776 -4.337982 -0.390964 0.40 0.48 -1.03 -0.34
C -3.032859 -2.928900 -0.241462 -0.08 -1.11 1.81 0.70
N -2.717054 -2.094619 -1.255320 -0.05 0.22 -3.18 -0.37
C -3.197551 -2.108483 -2.510334 0.84 0.63 2.16 0.32
N -4.554505 -2.139214 -2.718171 -1.13 -0.07 -1.09 0.39
C -5.414909 -1.821587 -1.591581 0.00 0.31 -0.52 -1.33
C -5.279804 -2.600329 -3.940441 0.52 0.08 0.98 -1.30
N -2.376671 -1.881428 -3.581178 -0.36 0.22 -0.06 0.14
C -0.936644 -2.130293 -3.434200 0.02 -0.04 0.43 -0.92
C -2.733927 -0.896803 -4.644006 -0.35 -0.99 0.47 -0.54
N -1.923094 0.547298 2.693462 -0.43 -0.87 -0.23 0.21
C -2.264258 1.878742 3.187812 0.71 -0.53 0.36 -1.15
C -0.597689 0.463360 2.029246 -0.20 1.02 0.04 -0.68
H -4.503086 -0.987562 5.237701 0.53 0.46 -0.46 0.33
H -4.377260 0.758445 4.862014 0.18 -0.44 -0.03 0.32
H -2.890009 -0.204402 5.028891 -0.15 -0.12 -0.32 0.37
H -5.455636 -2.061439 3.187858 -0.02 0.18 -0.30 0.32
H -5.154616 -1.278052 1.602356 0.11 0.17 0.46 0.09
H -6.011115 -0.384849 2.919093 -0.18 -0.16 -0.19 0.41
H -2.860637 -2.983924 3.243746 0.09 -0.04 -0.56 0.31
H -2.967143 -5.424004 2.863610 -0.14 0.67 -0.81 0.29
H -3.166834 -6.306752 0.460965 -0.15 0.96 0.38 0.30
H -3.215395 -4.767791 -1.427278 -0.05 0.56 0.97 0.26
H -4.900536 -1.107393 -0.932386 -0.25 -0.29 -0.14 0.30
H -5.645334 -2.741033 -1.076324 -0.25 -0.22 0.65 0.36
H -6.351816 -1.389575 -1.979342 0.30 -0.01 0.16 0.53
H -4.616252 -3.229240 -4.515834 0.25 0.03 -0.33 0.41
H -5.679663 -1.784886 -4.570446 0.27 -0.17 0.33 0.32
H -6.130260 -3.239286 -3.651750 0.26 0.24 0.16 0.43
H -0.792120 -2.930335 -2.691294 -0.10 0.29 -0.32 0.27
H -0.390940 -1.236592 -3.056915 -0.38 -0.39 -0.44 0.14
H -0.517810 -2.461066 -4.400960 -0.15 0.32 0.38 0.34
H -2.333521 0.091587 -4.430268 0.11 0.08 0.13 0.02
H -3.831263 -0.842623 -4.789254 0.81 -0.01 0.15 0.18
H -2.267638 -1.291769 -5.541164 -0.05 0.25 -0.35 0.28
H -3.338492 1.962722 3.270834 -0.22 0.27 -0.24 0.43
H -1.810142 2.633859 2.527355 -0.42 -0.13 0.15 0.26
H -1.846051 2.011444 4.197977 -0.03 0.19 -0.17 0.29
H 0.176013 0.676073 2.791718 -0.24 -0.26 -0.33 0.25
H -0.529973 1.295700 1.294484 0.03 -0.48 0.23 0.08
H -0.413522 -0.481153 1.501227 -0.36 0.24 0.49 0.33
O 6.765200 -5.061530 0.138753 1.21 -0.64 0.14 -0.50
C 5.839736 -5.395485 -0.884303 -0.18 -0.22 0.41 -0.50
C 4.883322 -4.240218 -0.901891 -1.21 0.66 -1.56 0.37
C 4.114949 -3.961257 -2.040138 0.44 -0.80 0.03 -0.90
C 3.292257 -2.844570 -2.096100 0.14 0.21 0.42 0.23
N 3.109609 -2.008580 -1.066234 0.75 -1.31 1.04 0.19
C 3.777751 -2.330521 0.084372 -0.37 -0.69 -2.13 -0.02
C 4.717606 -3.363910 0.152656 0.55 -0.30 0.14 -0.50
C 3.541047 -1.578335 1.284158 -0.03 1.75 1.56 -0.16
C 3.960626 -2.158618 2.489038 0.08 0.03 0.13 -0.70
C 4.229894 -1.337947 3.577985 -0.44 0.80 -0.53 1.04
C 5.041215 -1.809277 4.750652 -0.73 -0.86 -0.28 -1.07
O 6.416686 -1.500986 4.545520 0.61 1.15 1.36 -0.53
C 3.813519 -0.012098 3.468830 0.43 -0.42 0.68 -0.88
C 3.201563 0.436435 2.311873 -0.17 0.92 0.57 0.26
N 3.110166 -0.280839 1.215441 0.60 -2.03 -0.27 0.24
H 7.587181 -5.583746 0.091361 -0.77 0.23 -0.18 0.29
H 5.288606 -6.327848 -0.616824 0.28 0.45 -0.18 0.23
H 6.306320 -5.557193 -1.873645 -0.12 0.24 0.41 0.39
H 4.200442 -4.619870 -2.907305 -0.11 0.34 0.04 0.42
└──
## Written answer
114
Properties=species:S:1:pos:R:3:forces:R:3:mulliken_charge:R:1 method="wB97M-V/def2-TZVPD" spin_multiplicity=2 mol_weight_g_mol=1244.78 gap_ev="5.48 / 3.90" total_charge=-2 homo_energy_ev="-2.29 / -2.29" e_above_lowest_ev=2.313
Cs 1.702261 0.585957 -1.257231 -0.62 0.84 -0.43 0.92
C -3.916874 -0.232111 4.652079 -1.04 -0.09 -0.03 -1.22
N -3.983970 -0.569170 3.226898 0.94 0.50 0.28 0.50
C -5.221059 -1.107580 2.683876 0.05 0.00 0.74 -0.91
C -2.890334 -0.405291 2.393933 0.79 -0.41 -1.64 0.55
N -2.732965 -1.082659 1.280692 0.50 0.84 1.01 -0.44
C -2.940012 -2.427876 1.122779 -0.56 -1.18 -0.14 -0.17
C -2.939762 -3.357715 2.211400 -0.27 1.06 -0.47 -0.41
C -3.047537 -4.713090 2.005619 0.09 -1.65 -0.60 -0.59
C -3.174334 -5.212964 0.678108 0.02 -0.49 1.01 -0.74
C -3.213776 -4.337982 -0.390964 0.40 0.48 -1.03 -0.34
C -3.032859 -2.928900 -0.241462 -0.08 -1.11 1.81 0.70
N -2.717054 -2.094619 -1.255320 -0.05 0.22 -3.18 -0.37
C -3.197551 -2.108483 -2.510334 0.84 0.63 2.16 0.32
N -4.554505 -2.139214 -2.718171 -1.13 -0.07 -1.09 0.39
C -5.414909 -1.821587 -1.591581 0.00 0.31 -0.52 -1.33
C -5.279804 -2.600329 -3.940441 0.52 0.08 0.98 -1.30
N -2.376671 -1.881428 -3.581178 -0.36 0.22 -0.06 0.14
C -0.936644 -2.130293 -3.434200 0.02 -0.04 0.43 -0.92
C -2.733927 -0.896803 -4.644006 -0.35 -0.99 0.47 -0.54
N -1.923094 0.547298 2.693462 -0.43 -0.87 -0.23 0.21
C -2.264258 1.878742 3.187812 0.71 -0.53 0.36 -1.15
C -0.597689 0.463360 2.029246 -0.20 1.02 0.04 -0.68
H -4.503086 -0.987562 5.237701 0.53 0.46 -0.46 0.33
H -4.377260 0.758445 4.862014 0.18 -0.44 -0.03 0.32
H -2.890009 -0.204402 5.028891 -0.15 -0.12 -0.32 0.37
H -5.455636 -2.061439 3.187858 -0.02 0.18 -0.30 0.32
H -5.154616 -1.278052 1.602356 0.11 0.17 0.46 0.09
H -6.011115 -0.384849 2.919093 -0.18 -0.16 -0.19 0.41
H -2.860637 -2.983924 3.243746 0.09 -0.04 -0.56 0.31
H -2.967143 -5.424004 2.863610 -0.14 0.67 -0.81 0.29
H -3.166834 -6.306752 0.460965 -0.15 0.96 0.38 0.30
H -3.215395 -4.767791 -1.427278 -0.05 0.56 0.97 0.26
H -4.900536 -1.107393 -0.932386 -0.25 -0.29 -0.14 0.30
H -5.645334 -2.741033 -1.076324 -0.25 -0.22 0.65 0.36
H -6.351816 -1.389575 -1.979342 0.30 -0.01 0.16 0.53
H -4.616252 -3.229240 -4.515834 0.25 0.03 -0.33 0.41
H -5.679663 -1.784886 -4.570446 0.27 -0.17 0.33 0.32
H -6.130260 -3.239286 -3.651750 0.26 0.24 0.16 0.43
H -0.792120 -2.930335 -2.691294 -0.10 0.29 -0.32 0.27
H -0.390940 -1.236592 -3.056915 -0.38 -0.39 -0.44 0.14
H -0.517810 -2.461066 -4.400960 -0.15 0.32 0.38 0.34
H -2.333521 0.091587 -4.430268 0.11 0.08 0.13 0.02
H -3.831263 -0.842623 -4.789254 0.81 -0.01 0.15 0.18
H -2.267638 -1.291769 -5.541164 -0.05 0.25 -0.35 0.28
H -3.338492 1.962722 3.270834 -0.22 0.27 -0.24 0.43
H -1.810142 2.633859 2.527355 -0.42 -0.13 0.15 0.26
H -1.846051 2.011444 4.197977 -0.03 0.19 -0.17 0.29
H 0.176013 0.676073 2.791718 -0.24 -0.26 -0.33 0.25
H -0.529973 1.295700 1.294484 0.03 -0.48 0.23 0.08
H -0.413522 -0.481153 1.501227 -0.36 0.24 0.49 0.33
O 6.765200 -5.061530 0.138753 1.21 -0.64 0.14 -0.50
C 5.839736 -5.395485 -0.884303 -0.18 -0.22 0.41 -0.50
C 4.883322 -4.240218 -0.901891 -1.21 0.66 -1.56 0.37
C 4.114949 -3.961257 -2.040138 0.44 -0.80 0.03 -0.90
C 3.292257 -2.844570 -2.096100 0.14 0.21 0.42 0.23
N 3.109609 -2.008580 -1.066234 0.75 -1.31 1.04 0.19
C 3.777751 -2.330521 0.084372 -0.37 -0.69 -2.13 -0.02
C 4.717606 -3.363910 0.152656 0.55 -0.30 0.14 -0.50
C 3.541047 -1.578335 1.284158 -0.03 1.75 1.56 -0.16
C 3.960626 -2.158618 2.489038 0.08 0.03 0.13 -0.70
C 4.229894 -1.337947 3.577985 -0.44 0.80 -0.53 1.04
C 5.041215 -1.809277 4.750652 -0.73 -0.86 -0.28 -1.07
O 6.416686 -1.500986 4.545520 0.61 1.15 1.36 -0.53
C 3.813519 -0.012098 3.468830 0.43 -0.42 0.68 -0.88
C 3.201563 0.436435 2.311873 -0.17 0.92 0.57 0.26
N 3.110166 -0.280839 1.215441 0.60 -2.03 -0.27 0.24
H 7.587181 -5.583746 0.091361 -0.77 0.23 -0.18 0.29
H 5.288606 -6.327848 -0.616824 0.28 0.45 -0.18 0.23
H 6.306320 -5.557193 -1.873645 -0.12 0.24 0.41 0.39
H 4.200442 -4.619870 -2.907305 -0.11 0.34 0.04 0.42